Search the material underneath for the word "Positions" and repeat each line that has it.
No. 1
A molecular structure, C16H15BCl3MoN10O6 at a distorted geometry, computed with ωB97M-V/def2-TZVPD.

ΔE to the lowest compared entry with this formula, charge and spin ... 20.58 kcal/mol
Total energy ... -3090.61517 hartree
Net charge ... +2
Spin multiplicity ... 4
Highest occupied orbital energy (spin up / spin down) ... -14.320 / -14.320 eV
Orbital gap (spin up / spin down) ... 6.24 / 5.06 eV

Positions of all 52 atoms, in Å:
1 Mo 0.69692 0.96609 -0.89106
2 C -3.53645 0.83634 -1.12592
3 C -2.30501 1.25014 -1.58605
4 N -1.33587 0.62516 -0.88943
5 N -1.93398 -0.18199 0.01748
6 C -3.25579 -0.06777 -0.10743
7 B -1.07191 -1.08785 0.94088
8 N -0.13566 -0.16132 1.77740
9 C -0.00971 -0.07833 3.10178
10 C 0.87566 0.94408 3.40614
11 C 1.25028 1.45887 2.18279
12 N 0.64484 0.78224 1.18368
13 N -0.15479 -1.88470 -0.02757
14 C 0.15103 -3.17289 -0.20193
15 C 1.09410 -3.28915 -1.21151
16 C 1.33254 -1.99280 -1.61729
17 N 0.58076 -1.14168 -0.89665
18 N -1.95937 -1.86651 1.86372
19 C -2.18352 -3.18445 2.14725
20 C -3.12055 -3.24885 3.13822
21 C -3.44115 -1.90039 3.41089
22 N -2.74893 -1.08050 2.64912
23 H -4.50753 1.14268 -1.47180
24 H -2.06322 1.95480 -2.36516
25 H -3.92911 -0.61357 0.53061
26 H -0.54441 -0.73262 3.76807
27 H 1.18598 1.27145 4.38247
28 H 1.87823 2.31491 2.00390
29 H -0.30464 -3.95654 0.37116
30 H 1.54107 -4.19358 -1.58404
31 H 2.00271 -1.63485 -2.38134
32 H -1.68975 -3.99425 1.64607
33 H -3.55719 -4.13127 3.57172
34 H -4.15013 -1.51019 4.12315
35 C 4.72823 1.12106 0.48595
36 C 3.44456 1.18303 -0.22106
37 O 2.80607 0.26831 -0.72235
38 H 5.40774 0.47549 -0.07045
39 H 4.56489 0.66129 1.46526
40 H 5.15008 2.11216 0.62855
41 Cl 0.57297 2.60287 -6.11585
42 C 0.83963 0.96938 -5.51572
43 Cl 2.42896 0.35535 -5.98784
44 Cl -0.45161 -0.12546 -6.03011
45 C 0.80641 0.99828 -4.05637
46 N 0.78456 1.00295 -2.90978
47 O -1.22898 3.02518 0.70884
48 N -0.57318 3.61108 -0.10303
49 O -0.53985 4.75935 -0.37942
50 O 0.15956 2.79514 -1.00562
51 O 2.74639 2.35231 -0.39586
52 O 3.05809 3.39148 0.36552

Atomic forces in eV per Å
-1.058 -0.185 1.989
0.055 -0.025 -0.032
-0.111 -0.049 -0.046
-0.006 0.117 -0.148
0.040 0.036 0.003
-0.079 0.056 -0.077
-0.302 -0.179 0.232
0.034 0.034 -0.053
0.109 0.009 0.079
0.072 0.039 -0.062
-0.113 0.018 0.142
0.016 0.094 0.548
0.080 -0.041 0.045
0.015 -0.009 -0.123
0.019 0.013 0.007
-0.091 -0.087 -0.049
0.135 -0.326 -0.192
0.157 -0.093 -0.188
-0.020 -0.014 0.091
-0.151 0.094 -0.077
0.047 -0.177 -0.082
-0.045 0.189 0.127
0.007 0.018 -0.005
0.033 0.028 0.035
0.083 -0.043 0.052
-0.099 -0.034 -0.107
-0.014 0.014 -0.002
0.022 0.001 -0.079
-0.015 0.041 0.064
-0.017 0.001 -0.022
0.002 0.035 0.014
0.005 0.000 -0.016
0.082 -0.018 0.044
0.007 0.030 0.003
0.080 0.249 -0.010
0.569 -0.835 0.033
0.265 0.469 0.072
-0.039 -0.028 -0.023
-0.079 -0.023 -0.017
0.040 -0.023 -0.023
0.029 -0.105 0.141
-0.049 -0.059 -0.653
-0.106 0.041 0.083
0.107 0.079 0.087
0.013 0.056 0.416
0.174 0.016 -2.010
0.418 -0.061 0.228
-1.341 0.070 -0.238
0.496 0.111 0.123
0.503 -0.074 -0.291
-0.150 0.610 0.082
0.166 -0.081 -0.117

=====

No. 2
A molecular structure, C18H20IO6Pt at a distorted geometry, computed with ωB97M-V/def2-TZVPD.

ΔE to the lowest compared entry with this formula, charge and spin ... 75.21 kcal/mol
Total energy ... -1566.07484 hartree
Net charge ... +1
Highest occupied orbital energy ... -11.504 eV
Orbital gap ... 8.07 eV

Positions of all 46 atoms, in Å:
1 Pt -0.51399 -0.25674 -1.72686
2 C -0.20246 -4.27559 -0.92595
3 C -0.90124 -3.09285 -0.28362
4 C -2.00938 -3.50838 0.67436
5 O -1.41703 -2.21645 -1.31377
6 C 0.08495 -2.27851 0.51862
7 O 1.13410 -2.66956 0.92905
8 O -0.43440 -1.05560 0.80363
9 H -0.94037 -4.98746 -1.29576
10 H 0.44956 -4.76987 -0.21069
11 H 0.40149 -3.93434 -1.76693
12 H -2.69532 -4.19678 0.17869
13 H -2.56257 -2.63390 1.01515
14 H -1.58539 -4.01478 1.54097
15 H -2.24336 -2.53456 -1.69809
16 I 1.95964 -0.77597 -1.39660
17 C 2.36998 -0.14268 0.36678
18 C 3.68556 0.18133 0.25546
19 C 4.25966 0.98282 1.27416
Positions of all 52 atoms, in Å:
Positions of all 46 atoms, in Å: